=====
Formula: C4H14NO3
Source: OMol25
Level of theory: the ωB97M-V functional and the def2-TZVPD basis

Element x y z (Å)
C (-0.46247, -1.04773, -1.72906)
O (-1.53435, -0.23575, -2.37553)
C (-0.00641, -0.51406, -0.39640)
C (1.51446, -0.66100, -0.03920)
C (1.79671, 0.14520, 1.20131)
O (1.54878, 1.54861, 0.76684)
N (-0.42089, 1.02439, -0.22714)
H (0.35918, -1.17663, -2.41498)
H (-1.05289, -1.97604, -1.69265)
H (-1.34626, 0.40115, -3.04729)
H (-0.55977, -1.08821, 0.43275)
H (2.28365, -0.18816, -0.84441)
H (1.68994, -1.76288, -0.05661)
H (2.76463, 0.03187, 1.87228)
H (0.96472, -0.06374, 1.95346)
H (2.28771, 2.03839, 0.92590)
H (-1.46028, 1.02560, -0.39974)
H (-0.64672, 1.20505, 0.82555)
H (0.36162, 1.70839, -0.74223)
H (-2.35538, -0.83103, 2.25834)
H (-3.27067, 0.41112, 1.98622)
O (-2.45530, 0.00545, 1.74259)

Cartesian forces (eV/Å) of the 6 atoms listed first:
-1.76 0.84 -1.92
-0.28 -1.37 1.76
0.03 0.69 1.88
1.39 0.26 -2.67
-0.69 0.86 2.55
-1.02 -3.11 0.78

Net charge: 0
E_tot, eV: -12001.7401
LUMO energy (alpha / beta), eV: 0.6 / 0.3
2S+1: 2
HOMO (alpha / beta), eV: -2.91 / -10.58
Orbital gap (alpha / beta), eV: 3.5 / 10.9

----------

Here is a molecular structure, C16H36As2CrF12N4O6 from OMol25. Energies are from wB97M-V/def2-TZVPD.

Geometry as XYZ:
```
77
Properties=species:S:1:pos:R:3
H -2.98817 3.69516 2.10964
H -5.03128 1.07948 1.76622
N 3.73562 1.28625 1.85248
H 1.43075 3.13884 3.20379
H 3.83586 -2.23247 -1.90168
H 1.90779 3.87078 1.70686
H 2.64162 -2.97401 -2.90051
H -1.74938 2.43043 -4.55709
H -2.68523 -0.10146 1.77339
F 1.95201 -1.67127 2.72008
H -1.28657 -1.89325 -4.71750
H -1.08622 -1.60705 -2.91797
C -2.46823 -3.42234 -0.53178
H -3.90696 -0.78518 2.85915
H 1.43760 -3.57447 0.71136
C -2.52839 -2.07336 0.12756
H 4.83997 0.14681 0.38522
H 4.01262 -3.96531 0.10280
N -1.03635 0.03326 -4.08881
H -2.06181 3.27239 4.15052
C 1.89933 -2.46587 -0.89508
N -2.33321 2.92694 2.14060
H -2.84600 2.24772 -3.26690
O 1.04638 -1.60901 -0.63363
F 4.37280 1.37060 -1.92100
C 2.23046 3.15542 2.46333
H -0.69942 2.46261 3.37450
C 4.16988 0.03612 1.23776
F 1.21826 2.93373 -2.64229
H -4.60148 0.39613 0.22843
O -3.44572 -1.94188 1.14724
H 0.31824 -1.61499 -4.09162
C -0.73459 -1.38657 -3.92587
H 4.75711 -0.53354 1.95801
F 2.91692 3.21604 -0.95965
H 3.02607 -5.35217 0.41401
H -1.43804 0.29260 -4.97846
O -0.61091 0.59783 -1.97958
As 2.80116 2.13156 -2.31627
F 1.95953 0.91991 -1.31662
F 0.36100 -0.70219 4.39226
H 3.11359 3.62206 2.89971
F 0.04437 -3.01913 1.74621
F 0.54241 -3.33134 4.17623
C -3.60610 -0.68305 1.81649
H -2.66150 3.83635 -0.63848
H 3.27600 -4.84683 -1.21522
C 3.09482 -4.46221 -0.21156
H -1.47397 -3.44190 -0.97805
F -1.48675 -2.16409 3.46163
H -3.22109 2.21345 -0.93586
H -2.21001 1.56514 3.81657
F 3.54193 3.35930 -3.45614
C 2.76903 -2.21892 -2.12481
As 0.27232 -1.92902 3.12310
F 2.57061 1.07667 -3.73757
F -0.07808 -0.63139 1.84445
H 2.56389 -1.25991 -2.60053
H 3.33739 -0.63579 1.02892
C -1.77945 2.21403 -3.48921
C -2.08728 2.43551 0.92388
O -1.69388 -1.18856 -0.13947
H -4.06658 3.17110 0.15755
H -2.56265 -4.27838 0.13634
H -3.30914 -3.54718 -1.21398
H -1.29088 3.04782 -2.98503
C -4.80376 0.13722 1.26774
O 1.56877 1.28452 1.25118
Cr 0.16499 0.21666 -0.00937
C -3.04469 2.94295 -0.14541
O -1.22949 1.56364 0.74322
H -5.73447 -0.42862 1.22651
N 1.96932 -3.54925 -0.14698
C -1.03334 0.89809 -3.11120
C -1.78713 2.49536 3.43716
C 2.50098 1.87552 1.76895
H 4.49701 1.92567 2.03003
```

## Properties
**Electronic energy**: -218140.757 eV
**Total charge**: 0
**HOMO level (spin up / spin down)**: -0.291 / -0.358 Eh
**Max |F|**: 3.4 eV/A
**Orbital gap (spin up / spin down)**: 8.11 / 9.91 eV
**2S+1**: 5
**<S²>**: 6.003

***

Here is 7 unconnected molecules or ions with the total composition C16H36B2F8NO12 from OMol25. Energies are from wB97M-V/def2-TZVPD.

Geometry as XYZ:
```
75
Properties=species:S:1:pos:R:3
F 3.04330 -2.15010 1.41696
F 3.78670 -0.04403 1.82675
H 1.29381 -1.42911 5.05689
C -3.15783 -4.88488 -0.62058
C -0.29523 1.83493 2.86987
=====

Could you copy every line further up that contains the word "E_tot"?

E_tot, eV: -12001.7401